IHG, owner of InterContinental Hotels Group, wants to fully inhabit the mobile moments of its hotel guests in their journey from booking to arriving to staying to departing. Bill Keen is the Director of Mobile Solutions at InterContinental Hotels Group. You can try out his app here. He shared his experiences making mobile a cornerstone of IHG’s customer strategy in this interview at Forrester's recent Technology Management Forum in Orlando, Florida. My take is that three things drive mobile mind shift success at IHG:
Next to the piece, the page also holds records of molecules.
/*
[1]
Entry from OMol25: a 2-piece molecular cluster, C5H10N2O overall at a distorted geometry (the ωB97M-V functional and the def2-TZVPD basis).

As for the frontier orbital gap: 9.25 eV. The calculation puts the energy relative to the best compared isomer or geometry (same formula, charge and spin) at 1.698 eV.

```
! RIJCOSX wB97M-V def2-TZVPD def2/J DEFGRID3
* xyz 0 1
C 0.54446 -1.83991 1.42599
O 1.79631 -2.52515 1.48098
H 2.28234 -2.07965 2.18230
H 0.34222 -1.00011 0.75647
H 0.07561 -1.75255 2.40202
H -0.06829 -2.50349 0.77562
C 1.20277 0.45602 -1.55444
C -0.38140 1.58721 0.07893
C -0.14459 0.76338 -1.01436
C -2.27083 0.83529 -0.73581
N -1.74220 1.63159 0.21871
N -1.32808 0.34982 -1.52582
H 0.37604 2.09396 0.65095
H -2.21651 1.89749 1.05281
H 1.46597 1.35815 -2.14471
H 1.34087 -0.33403 -2.28261
H -3.28426 0.53647 -0.94087
H 2.00959 0.52549 -0.82615
*
```

[2]
Entry from OMol25: C48H68IrN3O3P2SSi as an isolated structure at a distorted geometry (the ωB97M-V functional and the def2-TZVPD basis).

As for the frontier orbital gap (alpha / beta): 5.39 / 4.53 eV.

```
! RIJCOSX wB97M-V def2-TZVPD def2/J DEFGRID3
* xyz 1 2
Ir 0.57998 0.46788 -0.42419
C 2.93147 -0.57693 2.05438
C 1.52893 -0.95366 2.57523
P 0.31880 0.39496 2.90333
C -1.24209 -0.46537 2.58322
C -2.04620 -0.78097 3.68445
C -3.13314 -1.62488 3.53181
C -3.42824 -2.16197 2.28317
C -2.64016 -1.85102 1.18662
C -1.56063 -0.99994 1.34262
C 0.55004 1.69467 1.67765
C -0.61178 2.39342 0.97649
C -0.79624 3.81337 1.44128
C 0.27750 4.53921 1.73604
C 1.59472 3.90944 1.81565
C 1.70053 2.57510 1.92355
C 3.23418 -1.27660 0.71641
P 2.76420 -0.15679 -0.65234
C 4.10058 1.06773 -0.59151
C 3.87230 2.39786 -0.27452
C 4.94273 3.26506 -0.09029
C 6.23929 2.80228 -0.23794
C 6.46998 1.48075 -0.60724
C 5.40717 0.61398 -0.78700
C 3.09996 -1.04383 -2.19017
C 3.17768 -0.29853 -3.37315
C 3.43627 -0.93010 -4.57695
C 3.61780 -2.30894 -4.60738
C 3.52306 -3.05098 -3.44161
C 3.25060 -2.42602 -2.23027
H 3.68936 -0.84259 2.78984
H 3.02590 0.49314 1.90363
H 1.60510 -1.50903 3.51311
H 1.01239 -1.63288 1.88139
H -1.81095 -0.36962 4.65894
H -3.74741 -1.87150 4.38754
H -4.26407 -2.83951 2.16958
H -2.84432 -2.30259 0.22372
H -0.90543 -0.75989 0.49799
H -1.53752 1.82930 1.07034
H -1.79896 4.21550 1.50709
H 0.18694 5.58117 2.01630
H 2.46783 4.53246 1.96300
H 2.62432 2.16312 2.30060
H 2.65046 -2.19690 0.62949
H 4.29446 -1.51446 0.61484
H 2.85988 2.75658 -0.17939
H 4.76161 4.29999 0.17069
H 7.07528 3.47000 -0.07707
H 7.48202 1.12674 -0.75140
H 5.59242 -0.41329 -1.07894
H 3.06405 0.78044 -3.34205
H 3.51047 -0.35327 -5.48952
H 3.83578 -2.80309 -5.54499
H 3.65573 -4.12401 -3.46974
H 3.15071 -3.01401 -1.32707
N -0.14993 -0.45241 -2.17693
C -1.09784 0.16343 -3.14906
C -2.56952 0.08974 -2.73401
C -3.16445 1.31760 -2.03786
N -3.18386 1.15664 -0.58154
H 0.71492 -0.66241 -2.67610
H -0.51288 -1.35592 -1.85449
H -0.97775 -0.36931 -4.09297
H -0.79932 1.19941 -3.30474
H -2.71752 -0.78848 -2.09450
H -3.14569 -0.08984 -3.64162
*/
  1. Bill and his team relentlessly focus on mobile moments that improve the guest experience, from booking in to in-room services.
  2. Bill’s business team works side by side with the business technology team to build apps. Bill describes a special "team chemistry."
  3. The multi-disciplinary team uses a sophisticated agile process to quickly extend things that work and fix things that don’t.
[Ted] What was your aha moment when you realized IHG had to help customers on mobile devices?
[Bill] While IHG had a mobile solution as far back as 2001, we really started it to put dedicated focus on it around 2007. If you remember in June of that year, Apple introduced the iPhone, which I compare to October 1994 when the Netscape Mosaic browser was introduced. Both created this immediate impact on interest and traffic. It was really around that time we saw consumers trying to access our sites with these devices so we started to spend more time changing our current mobile front ends to be more usable for tap and touch and for the new context of mobile.  
What IHG mobile moments are you proud about today? Any statistics you can share?
Well, I am lucky to actually work in an industry where the product we sell is tailor made for mobile so clearly our revenue growth has been really impressive.  I remember in 2010 when we first achieved $1M in room night bookings in a month and now if we don't generate that before lunch on any given day I start to wonder if something is wrong. In addition to our revenue growth, I have been extremely happy with how we have been able to expand our service capabilities in what we call "guest journey" moments. Our apps are the highest rated in the industry so we certainly believe that is an outcome of our focus in these areas. 
What mobile guest moments do you think will matter most next?
We are really focused on the areas of service and loyalty. Next generation travelers not only want to use their devices for gathering information, consuming content and performing simple tasks but also want to use their devices to functionally interact with our properties in very deep ways to create personal, authentic local experiences. This can come in all forms whether it is leveraging devices for recognition, expedited check in, room customization, ordering services or sharing. We often talk in terms of "need states" and feel mobile devices are perfect tools for helping guest with orientation, acclimation, customization, and celebration.  
What have you done to engineer IHG's technology platforms and processes to make mobile work? Who's involved?
A key to our success has been our close alignment with our technology organization. From a platform perspective, we have been very focused on creating and expanding our services layer based on our key use cases for guests. This allows our front end developers to be more efficient while giving us the flexibility to expand our user interfaces across platforms. Now not everything is simple especially given our long legacy in hospitality that includes a long history of legacy systems but we have made great strides. From a process standpoint, we have adopted an agile development methodology that keeps the business team in constant daily contact with our developers. Beyond the clear benefits of decreasing cycle time and improving quality, there is a personal commitment to each other and a team chemistry that is really good to see.   
What Bill and his technology management colleague James Prolizo have learned is simple but profound: Mobile is successful only when business and technology managers come together to work side by side. Using an agile process with relentless adjustment, measurement, and refinement is a proven business disclipline to create great mobile moments. Forrester customers can learn more about their partnership in this report: Your Company Needs A Mobile Organization.
To learn more about mobile moments and what makes them such a powerful tool, watch this 96-second clip, visit this site, or read The Mobile Mind Shift.
Forrester will host the Forum for Technology Management Leaders in London on June 12-13. You can register here.